Once a guy, always a proper guy

Monday, October 31, 2005

It's finished! Nearly...

Ha ha. Nearly got the first uni app complete. Should be the first one in the class to complete a us uni app rite? :p Anw, a rush today, cos I forgot to print out one form! Only found out about it when doing the online app yesterday. Nvm. Not much lah. Just getting signatures to acknowledge that I knew what "single-choice early action" is. Btw, the online app's a little screwed. For the essays, they stated that the character limit's 1600 (for eg), and when I got my count below this value, it still exceeded the limited amount of space I had!!! Sian. And in front, when I couldn't type the achievements further, there're still some space there!!! Had to write 05 instead of 2005. Wtj. Nearly settled le. Hurray!

Sigh... Could have got at least 30 pts more for the past two weeks, if I had not made stupid goalkeeping decisions.. Nvm.

Then this morn, chem rem. Everyone did have a nice time listening to the opera-like practice next door from the choir ppl. And who's the one who commented, "They did win a gold with honours, didn't they?"

Waiting patiently for the update...

Sunday, October 30, 2005

For the first time...

Sigh... Staying up till two just to watch a humiliating defeat's very sian. And very rare to see man utd players n bench not celebrating when they scored a goal. Hope it's the only time it happened. Sian.


Sigh... Started off promising, but once the games continued..... nvm.

And a stupid half-time score now. Three goals behind. Reallie brought back memories of the tottenham game a few yrs ago... Man Utd definitely showed the same, if not more, hunger, as they had that time! At least a goal by rooney. Gd enough for me... :p

Friday, October 28, 2005


Can't log on to msn for the last 2 days. Mac messenger becoming more n more unreliable. Nvm. Just an announcement to 79ers. Next mon wed fri chem remedial. Mon 9.20 i think. Cya there!

Wednesday, October 26, 2005


Somehow, involved in many cases of mistaken identity lately. :p The 2 emails, plus that short, no-msg email today, and my msn account being used so many times by others to chat. :D Then qq ah, even repeatedly shut off one of my chat windows on mon. Ha ha.

And today, there's this grp of chinese visitors coming into the lib. Me doing work at the comp, n they came, bent over n looked carefully at what I'm doing. Luckily, I was at this google page searching, or having searched, for info n doing my chem vj paper at the same time, and think I managed to give them the impression that hwa chong students were able to integrate IT actively into their studies (ha ha).. Thank all my lucky stars that I was not at fantasy football or msn at that time (in fact, I was, but luckily, not visible on the screen)... Then they took so many photos lor. Ha ha. And with another grp of chinese visitors visiting the lib last week (I was doing my uni app then), reallie have no idea how many photos of me that've been taken by those foreigners. Becoming famous, and I don't even noe it! Nvm.

Went to the reading rm for the first time to mug. Don't reallie like the env there, with ppl moving all over the place, n some ppl talking shortcuts thru the rm... But the lib's freaking cold today. Sigh. Best place to mug in sch.... haven't found it yet. Maybe there isn't any gd place to study...

Tuesday, October 25, 2005


One day, Gary came home with his exam paper in his hand, and went crying to his father, "I flunked my test!!! I'm a failure!"

Dad's apologetic, "It's alright. Just work hard next time, and u'll get good results!"

Gary cried even harder, "Impossible, especially when I cheated in this one!"


So blogspot's started this word verification now. Hope the first character's an l (L) and not and I (i)....

Mug hard, work hard, but do take care k!

Monday, October 24, 2005

Results after results...

Took toefl this morn. Ha ha. Just rushed through the whole test lor. Not too difficult, though the reading of some passages can be reallie sian. Not the one about aristole and his law of motion though. :p Roughly know the results le. Fall short of expectations? =D Din reallie use the appropriate ID though. Passport expired le. Bleah.

SAT results also out just now. Enough said.

Tired... The effect of bball after not playing it for so long...

Saturday, October 22, 2005

Sense strand... Doesn't make no sense at all

Ha ha. Silverthorn vs mcmurry. Bio notes vs chem notes. Conflicting views on wtj the sense strand should refer to. Searched on the net. And the conclusion? Just use template strand! Sian.

Today's pokemon episode rox. Total mayhem, when five or six pokemon literally sprayed attacks around the battlefield with no one willing to control the situation. :p

Toefl tmr. Ha ha.

Friday, October 21, 2005

How many swans...

Ha ha. Played for open house today. :p Sightreading's ok, prob becos the pieces're slack, but still made mistakes (though no one in the audience can hear). Not many ppl came for this yr's open house though. So, taking a number of goody bags won't hurt... though justin'd to turn his in after trying to get another one... then some of us met miss ng, who told us about incidents when some hwachongnians tried to take a few goody bags by wearing a diff uniform... tried hard not to laugh... who needs to do so when one can just take five (or six, if u considered passing one to jun yang) n bring them to library? Nvm.

Anw, regarding that prank email to 79 yahoo grps n some other ppl... Shall respond to it after two days of ignoring it... who with some sense'll send it to the person in qn, then forward it for 30 plus ppl, inc seniors n grand-seniors n bandmates (i showed some of them today to see if they believe the legitimacy of the msg.. :p)... and reallie lor.. on the assumption that i like someone, i won't like tell him or her (ahem) a few wks bef a-levels, n i def won't send an email... that's like so insincere. Hope not many ppl've not enough sense to believe that msg. I mean, quote unquote from wen li, it's too gd to be written by me. :D Hope this'll remove any lingering doubts anyone's.

25 bucks on henry... resort to extreme measures now to get back to top 500. :P

Thursday, October 20, 2005

Back to sch...

Ha ha. Gone back twice every day, no, once every two days this wk (nvm) to settle uni stuff. Quite glad to finally get it over n done with (the giving all the teachers references part), though the essays're still lagging. No more trouble settling stamps n envelopes n printing docs (after jamming the damn printer at least twice in the last one wk)... Reallie fun to settle all the stuff with the likes of jy, glo, joel, yk n even ks. =D Neopets, the email pranks, n picnic in the lib're just... priceless. Shall heck any consequences. Laughed a lot, n got so many weird stares from that guy beside me. Nvm. Mugged in sch for a while on mon n wed. Will mug in sch tmr too. :p

What would u have if u can hold 15 apples in one hand? Not big hands. U have a doc being kept away for 15 days...

Tuesday, October 18, 2005


Sigh. Have to call college board just to change my name. Tried on sun, and found out that they're not open. Yesterday, called several times at nite, but was greeted with some machine saying all customer service rep're busy. Finally got thru, n had to ans so many qns before they agreed to change my name for me. Ha ha. Would have been so much easier if we're allowed to do so online...

Study leave le. Must take care of yourself k. Weather's getting hotter n hotter, n more water's definitely needed. Can get more oxygen (atoms) that way too. Nvm.

Sunday, October 16, 2005


Ha ha. What a debut! :p

- - -
[1]
CH2ClNOS2 | ωB97M-V/def2-TZVPD

## Properties
* molecular weight: 143.62 g mol⁻¹
* HOMO level: -9.26 eV
* net charge: 0
* LUMO: -1.8 eV

Last column: Mulliken charge in e.
Positions of all 8 atoms, in Å:
C  -0.30802  -1.11391  0.12200  0.761
N  0.33418  -0.07212  -0.14804  -0.222
O  -0.75018  -2.14892  0.06488  -0.205
S  2.13860  -0.41107  -0.58148  -0.055
S  0.05848  1.57629  0.29278  -0.217
Cl  -2.61805  0.09703  -0.08284  -0.563
H  2.70101  0.79798  -0.03383  0.205
H  -1.55602  1.27472  0.36652  0.296


[2]
C26H25Br2NP2Sn | ωB97M-V/def2-TZVPD

## Properties
* molecular weight: 691.96 g mol⁻¹
* HOMO level: -19.53 eV
* net charge: +4
* LUMO: -16.0 eV

Last column: Mulliken charge in e.
Positions of all 57 atoms, in Å:
Sn  1.53889  1.38397  1.84635  0.918
Br  3.49510  2.96864  3.57777  0.048
C  3.36413  4.35969  2.26302  -0.496
Br  2.20445  3.82712  0.74115  0.098
H  4.34450  4.54687  1.83376  0.419
H  2.89821  5.23545  2.70602  0.429
C  -1.17772  -1.94844  -0.50688  -1.112
N  -0.41183  -0.81936  0.11991  0.353
P  -1.18478  0.30480  1.02578  0.001
C  -2.51359  -0.32134  1.95690  0.626
C  -3.84851  0.03410  1.61075  -0.289
C  -4.88624  -0.51557  2.31937  -0.793
C  -4.61882  -1.37459  3.40220  -0.369
C  -3.30476  -1.70681  3.76928  -0.826
C  -2.25319  -1.18490  3.06312  -0.272
C  -1.58625  1.74426  0.12606  1.484
C  -1.49547  1.80748  -1.28855  -0.451
C  -1.98614  2.91880  -1.93473  -0.910
C  -2.51436  3.98368  -1.19720  -0.411
C  -2.57487  3.94591  0.20151  -0.879
C  -2.09265  2.84530  0.86991  -0.536
P  1.26455  -0.51413  -0.25765  0.387
C  1.46470  -0.23554  -1.99290  0.845
C  1.32616  -1.30279  -2.88880  -0.321
C  1.46212  -1.07485  -4.24540  -0.784
C  1.75451  0.20272  -4.71397  -0.556
C  1.91432  1.26004  -3.82901  -0.701
C  1.76829  1.04401  -2.46885  -0.150
C  2.18154  -1.99119  0.12361  1.061
C  1.67604  -3.07416  0.85736  -0.276
C  2.47522  -4.18852  1.05907  -0.744
C  3.75757  -4.23983  0.53465  -0.557
C  4.28826  -3.14463  -0.14126  -0.706
C  3.49930  -2.02606  -0.34327  -0.804
H  -1.99429  -2.24400  0.14650  0.460
H  -0.51561  -2.79589  -0.65334  0.507
H  -1.56709  -1.61651  -1.47052  0.280
H  -4.05095  0.69418  0.77829  0.458
H  -5.90943  -0.29245  2.04489  0.476
H  -5.44809  -1.78498  3.96739  0.473
H  -3.12958  -2.36090  4.61268  0.473
H  -1.23746  -1.42559  3.35300  0.398
H  -1.10412  0.97400  -1.85532  0.477
H  -1.98395  2.96713  -3.01562  0.513
H  -2.88079  4.85865  -1.72231  0.495
H  -3.00308  4.77518  0.74855  0.521
H  -2.14630  2.79998  1.95276  0.531
H  1.12526  -2.30698  -2.53603  0.404
H  1.35633  -1.89434  -4.94392  0.482
H  1.86929  0.37102  -5.77770  0.473
H  2.16008  2.24434  -4.20389  0.501
H  1.90511  1.87193  -1.77801  0.218
H  0.67799  -3.05310  1.27688  0.366
H  2.10948  -5.02999  1.63323  0.459
H  4.33897  -5.14496  0.65725  0.453
H  5.30065  -3.17591  -0.51918  0.463
H  3.89890  -1.18098  -0.89467  0.394


[3]
C5H7NS | ωB97M-V/def2-TZVPD

## Properties
* SMILES: C=CN1CCC1=S
* molecular weight: 113.18 g mol⁻¹
- - -

Sian... Din noe that country code for us's an amazing "1". Nvm. Finally called college board, but they're not open on sundays!!! :p Btw, oct sat scores may be out the mon after next. =D

Saturday, October 15, 2005

Last day of sch...

Sigh... Last day of sch yesterday. Ha ha. Whole day feeling a little sian. Two years's just too short. Whatever. Doesn't mean we'll all never meet up again to chat, play ball, eat, laming... There's still A-levels (which ends in exactly 6 wks from now), and we must all work hard now!

Yesterday, last day of sch. Started off with (vice) principal's add, when a nice video's shown, before our special ct period. Quite funny, as jo n I insisted on writing "you rox" to rem, even when rem asked us to write somethin' more meaningful. And rem helps in niaoing jy too! =D

Class lunch later. We ordered pizza, after a short bball session that's ended by a downpour. Celebrated the oct, nov n dec bday babes too! Ha ha. To think I'm the only person who's a paper for a bday prezzie, and it's a great paper lor! Sigh.

Chem s, bio lect later, in which not many ppl paid attention... Expected lah.

After bio, just hanged around in the audi, writing autographs, waiting for the rain to end... Got all the papers from the photocopying rm except bio. Will come back sometime next wk to see if they're on sale. Oh yeah. The photocopying rm's become a common spot for all of the students lately. Ppl crowding outside it trying to buy papers :p

Bball, which's aggressive n fast n a little freaky. Played centre at first, n caused lots of injuries to the likes of jo n wj. Sorrie! :p Then, got frustrated by the lack of space there, so just stayed outside, n occasionally strayed in to block ppl. Even kicked the ball once into the far end. Might be the last time we've such a game lor. Nvm.

Class dinner at curry wok, when we made a hell lot of noise. 15 ppl turned up, which's reallie not bad lor. Ha ha. Showed signs of disrespect by not telling vernon n laura to eat, but instead asked ken to do so. Nvm. Anw, started of with dinner, then there's this mass learning of how to use the chopsticks in the proper way, when no one seemed to be able to do so. Wj ah. Still wanted to teach everyone his own unique style. :p Then we just talked about everything from uni to dreams. Those at the other table commented that they're mainly hearing two things throughout their dinner: the music, and us. After that, mass photo-taking session. =D Took photo with everyone, n got niaoed badly. Prob one of the last times I'll get to experience it. Waited twenty plus mins for the accursed 961. Damn. So ended the last day of sch...

Finally got my ns enlistment letter. Guess the date! Was a little sian about it, though it's hard for me to delay my entry even for a day, as it'd cause all sorts of admin probs for the ns ppl. And just doesn't make much sense to go into tekong for half a day, then go out, then go back on the next day right? Sigh... Nvm. At least, class trip to look forward to, and can always disturb u all when u all're enjoying prom...

Mac messenger still not loading. Damn.

Last two yrs: full of fun, joy, occasional moments of sianness n disappointment... Can still remember orientation times, when we'd like 1 outing per wk, leading to some of our parents complaining... :p Then wj n I'd compete a little to see who can finish ma tutorials the fastest. Ha ha. Nvm. Think everyone can remember most of the things that'd happened in the last 2 years, so no point saying them all out. Just wanna say, the last 2 yrs's one of the most valuable times ever, and we must cap them off with a brillant performance for A-levels!

Wednesday, October 12, 2005

Very, very tired...

Sian... slept for only four plus hours last nite, n lasting consecutive games of soccer n bball's horrible. Reallie no more energy to last another round after sch...

That qq ah. Kept the class diary for three whole months w/o doing anything worthwhile to do. Quite stunned when I saw that I actually wrote the last entry, even though I can't remember when I last touched or saw it. Nvm. First entry of the term, n "wj"'s to tarnish mine with an actually very nice pict, but horribly untrue annotations...

Think I'll go sleep early later, if I'm going to go sch at my usual time tmr. Sigh. Have to settle my applications very very soon. Anw, since I still've two more yrs, can afford to apply to the less prestigious uni next yr lor. NS's finally been useful for once. :D

_Inserted here: quantum chemistry results_
{
  "formula": "C28H30CdN6O4Se",
  "method": "ωB97M-V/def2-TZVPD",
  "homo_ev": 0.2,
  "lumo_ha": 0.15175,
  "gap_ev": 3.92,
  "total_charge": -2,
  "symbols": ["Cd", "N", "C", "O", "C", "C", "C", "N", "C", "C", "H", "H", "H", "H", "H", "H", "C", "N", "N", "C", "O", "C", "C", "C", "C", "C", "C", "C", "C", "C", "H", "H", "H", "H", "H", "H", "H", "H", "H", "H", "H", "H", "C", "C", "C", "C", "C", "C", "C", "C", "N", "H", "H", "H", "H", "H", "H", "H", "H", "H", "Se", "C", "N", "C", "C", "O", "O", "H", "H", "H"],
  "positions_angstrom": [[-0.5011, 1.1979, 0.6172], [-1.7257, 3.1747, 7.5583], [-2.4114, 3.7616, 6.5157], [-3.2549, 4.6155, 6.7167], [-2.0305, 3.2973, 5.1435], [-0.8887, 2.5519, 4.8879], [-0.6381, 2.1157, 3.5929], [-1.4574, 2.3961, 2.5832], [-2.5512, 3.1097, 2.8242], [-2.8761, 3.5876, 4.0832], [-2.1556, 3.3431, 8.4547], [-1.3793, 2.2390, 7.4166], [-0.1809, 2.3097, 5.6701], [0.2010, 1.4632, 3.3386], [-3.1969, 3.2946, 1.9733], [-3.7762, 4.1616, 4.2568], [-0.1419, -3.3223, -3.9695], [0.6012, -2.1426, -3.5380], [-0.1683, -0.9717, -3.6173], [-0.1047, -0.2477, -2.4154], [-0.6264, 0.8414, -2.2565], [0.6965, -1.0783, -1.5341], [1.0572, -2.1751, -2.2101], [1.8370, -3.3446, -1.7216], [-0.5977, -0.4843, -4.8515], [-1.7482, 0.3036, -4.9074], [-2.1770, 0.7934, -6.1300], [-1.4913, 0.4946, -7.3028], [-0.3544, -0.2995, -7.2416], [0.1001, -0.7808, -6.0218], [-0.4761, -3.1854, -4.9963], [-1.0143, -3.5049, -3.3318], [0.5303, -4.1778, -3.9320], [0.9449, -0.8306, -0.5113], [2.2708, -3.1035, -0.7525], [2.6324, -3.5978, -2.4278], [1.1999, -4.2219, -1.5855], [-2.2863, 0.5071, -3.9916], [-3.0704, 1.4049, -6.1698], [-1.8430, 0.8729, -8.2554], [0.1928, -0.5368, -8.1465], [1.0008, -1.3785, -5.9566], [-0.9965, -2.7121, 1.7023], [0.4767, -2.5998, 1.9568], [1.2614, -3.7247, 2.1280], [2.6434, -3.6516, 2.3463], [3.2201, -2.3760, 2.3784], [2.4765, -1.2174, 2.2262], [3.1321, 0.1312, 2.2916], [1.0309, -1.2496, 2.0272], [0.2812, -0.1741, 1.9394], [-1.3308, -3.7531, 1.7693], [-1.2621, -2.3215, 0.7146], [-1.5536, -2.0950, 2.4138], [0.7835, -4.7041, 2.0808], [3.2460, -4.5456, 2.4650], [4.2951, -2.2838, 2.5382], [4.2077, 0.0336, 2.4776], [2.6871, 0.7389, 3.0893], [2.9723, 0.6933, 1.3666], [-3.9730, -1.4728, -1.9293], [-3.1679, -0.3585, -0.7688], [-2.6666, 0.3751, -0.0178], [2.4846, 3.9934, -0.5643], [1.4264, 2.9370, -0.2774], [1.6334, 1.7616, -0.6209], [0.3695, 3.3434, 0.3093], [3.3924, 3.5312, -0.9452], [2.6982, 4.5524, 0.3479], [2.0907, 4.6950, -1.3029]],

Btw, ms ong addressed me openly by my proper name today during lect today. Kind of soft, so not as much laughter. Got some weird looks from the class below us though, n my band mates even said that it's gross. :p To quote mr lee, I'm finally recognised! Ha ha.

Monday, October 10, 2005


Sleeping at one plus, two plus for two consecutive days isn't nice, esp when I've to wake up early each day (I consider waking up at 12 to be normal). Quite interesting to see ppl coming online so late at nite, n only started chatting at eleven plus. If everyone's trying to emulate owls, have to say that's the right way of doing so. :p Oh yeah. Still can't figure out how I forget to bring my bio a3 size ws (I photocopied later on), when I'm reminding everyone that I can to do so. Must be fatigue.

Possibly my last assembly at chs today. Some nice treats for us, with them repeating different permutations of the national anthem to emphasise the importance of national identity, while their version of the chinese sch song rox. Din noe that sch songs can be that nice to hear. Must be due to playing the same two lines three times each wk for 4 yrs n a half...

Will get an early sleep today. =D

Full of riddles lately: I can multiply or divide. Yet, when I do so, I will never change, in spite of any change in environmental conditions, in spite of the progress of time. What am I? (High evolutionary potential.. nvm)

Sunday, October 09, 2005

The end in sight...

Less than a month to go before we've our a levels, while only one more wk to go before we all leave for our study leave. :p

Shall write a more meaningful entry today. A few highlights of the wk:

1. SAT. Ha ha. Had it at aj with wj n glo. As usual, rather slack. Point's not to sleep during the tests, or careless mistakes'll just start flooding in. Saw several others there, like daryl, kailiang (who came despite having a 11 day mc) n thia. Three hours's quite sian. Nvm. Mugged for it from tue onwards. Actually, I just mugged on tue n fri. =D Hopefully, not many careless mistakes! Btw, who wants to sit for toefl soon? Looking for some company.

2. Return of prelim papers. Enough said.

3. Frequent bball sessions. Not really a highlight, just that it's rare to see 16 or 17 ppl in half a court desperately to get a touch of the ball. Some of them din even touch it at all. And really fun to see 5 or 6 ppl swarming to the person who had the ball at that instance, not to mention three kids fighting the ball in the wrong half, with the last one coming late n giving them half a football tackle... Btw, will show more... care, when blasting the ball out of the area next time. Ha ha.

4. Van der sar saved a penalty!!!!! Becks got sent off again. Nvm.

5. Essay writing. Not for A-levels, though if I'm going to apply for early action, have to get my act together soon. Luckily, some of the essay topics're more interesting, like writing to my future room-mate about one of my personal experiences. Stayed up till two this morn to do them. Sian.

6. Autograph books. Still owe four girls what they want. Most prob return them (the cards, not the persons) to their respective owners (the girls, not their respective guys... no names mentioned here) some time during a levels, since I haven't started on any of them...

7. Some answers.

1. In only one direction it flows, going faster, going slower, yet it can't be seen, touched nor heard. What's it?

Simple. Time. =D Going into relativity...

2. A cause for different evolutions to occur. Comes in different forms for different purposes. Seemingly solid, yet no living person's ever held it or touched it with his or her hands before.

Ha ha. Pokemon evolutionary stones. Nvm. Tell u guys it's not a fair riddle liao.

3. The shortest thing in the world, yet the longest it can be as well. Guess what?

Ha ha. Time again. :p

8. Learn to treasure life. Just too short for regrets. I'm just happy I've none so far. Who knows, I may make some mistakes five or ten years from now, and end I regretting it, like choosing the wrong type of food... But for now, life's great, iseneh?

Saturday, October 08, 2005

Ha ha

My longest no-blogging period ever. =D Kind of busy lately. Sigh. Have to rush a few short essays in 1 day. Nvm.

~~~
# C21H18HgN5O

A molecular structure, C21H18HgN5O (ωB97M-V/def2-TZVPD, the OMol25 dataset).

Values from the calculation:
* 2S+1: 2
* gap between HOMO and LUMO (spin up / spin down): 5.44 / 8.32 eV
* ΔE to the lowest compared entry with this formula, charge and spin: 0.0 kcal per mole

Each line ends with the Löwdin charge.
CARTESIAN COORDINATES (ANGSTROEM)
Hg  0.44786  0.02886  0.03731  1.206
O  4.46172  -0.81797  -1.13725  0.016
C  3.26409  -0.53183  -1.07642  -0.524
N  2.58549  -0.26697  0.03933  -0.112
C  3.35127  -0.42276  1.24824  -0.191
C  2.54398  -0.36490  2.52723  -0.264
C  3.20886  -0.38487  3.75392  -0.022
C  2.47195  -0.34282  4.91811  -0.062
C  1.08472  -0.27268  4.84475  -0.064
C  0.50582  -0.25160  3.59258  -0.133
N  1.22251  -0.30617  2.46740  0.031
C  2.49855  -0.43973  -2.39129  -0.200
C  3.21091  -0.49836  -3.58081  0.002
C  2.51257  -0.41403  -4.77259  -0.052
C  1.13253  -0.27777  -4.74495  -0.059
C  0.50250  -0.23107  -3.51256  -0.129
N  1.17623  -0.31434  -2.36818  0.030
H  4.13251  0.34412  1.31460  0.133
H  3.89438  -1.37534  1.23512  0.132
H  4.29044  -0.43068  3.77568  0.119
H  2.96996  -0.35788  5.87924  0.109
H  0.47085  -0.22841  5.73318  0.103
H  -0.56952  -0.17873  3.47044  0.109
H  4.28393  -0.61033  -3.53459  0.117
H  3.03954  -0.45259  -5.71750  0.109
H  0.55197  -0.20706  -5.65424  0.104
H  -0.57305  -0.11971  -3.43053  0.111
N  -1.36844  -1.65591  0.02264  0.011
C  -2.60364  -0.91377  -0.14795  -0.277
C  -3.80233  -1.59069  -0.36872  -0.071
C  -4.98075  -0.88121  -0.52856  -0.110
C  -4.96389  0.50237  -0.45556  -0.056
C  -3.77486  1.21460  -0.23758  -0.176
C  -3.72729  2.63128  -0.15813  -0.058
C  -2.49419  3.26275  0.05177  -0.117
C  -1.35476  2.52030  0.16637  -0.194
N  -1.36118  1.14704  0.09536  -0.121
C  -2.55431  0.48258  -0.09303  -0.204
H  -1.29059  -2.38074  -0.68064  0.087
H  -1.35020  -2.12197  0.92366  0.087
H  -3.79833  -2.67379  -0.40975  0.101
H  -5.90989  -1.40762  -0.70369  0.096
H  -5.88237  1.06575  -0.57137  0.105
H  -4.64105  3.20016  -0.26200  0.096
H  -2.42388  4.33998  0.12160  0.095
H  -0.39058  2.98452  0.31938  0.086

~~~~~

Record 1
# C5H8N2O3

A cluster of 2 separate species, C5H8N2O3 in total at a distorted geometry (ωB97M-V/def2-TZVPD, the Open Molecules 2025 dataset).

Structure (XYZ):
```
18
Properties=species:S:1:pos:R:3:lowdin_charge:R:1
O -0.53 -2.49 -1.38 0.113
C 0.00 -1.68 -0.67 -0.475
O 1.25 -1.19 -1.02 0.077
C -0.40 -1.51 0.79 -0.020
C -0.34 -0.11 1.30 -0.265
C -1.26 0.80 1.69 -0.063
N -0.60 1.94 2.14 0.094
C 0.65 1.68 1.97 -0.188
O 0.89 0.45 1.49 0.044
H 1.65 -0.66 -0.32 0.094
H -1.41 -1.89 0.91 0.139
H 0.27 -2.15 1.39 0.149
H -2.33 0.77 1.53 0.123
H 1.51 2.30 2.22 0.138
N 0.00 0.83 -2.91 -0.013
H 0.25 1.28 -2.03 0.007
H 0.04 0.04 -3.54 0.025
H 0.35 1.59 -3.56 0.019
```

## Properties
SMILES   O=C(O)Cc1cnco1.N
Energy above the lowest of the compared OMol25 structures with the same formula, charge and spin   1.544 eV
HOMO   -9.33 eV
Orbital gap   9.7938 eV

---
~~~
[Back to the page]

SAT II today. Ha ha. Kind of slack, really. The examiner really rox. Nvm.

Saturday, October 01, 2005

Sorry blog!

Ha ha. Have been neglecting you. So sad... :p Sentosa outing on thur, police station trip on fri, meaning that I got home rather late on both days...

Sentosa outing's fun. The luge's really a great experience, and the choice to go for three rides paid off, with the last one being error free and the most hilarious of all (avoided wj, who bumped into ws n jo, before bumping into some barrier...). :~D Beach soccer, monkey, volleyball n sea adventure's nice too, in spite of the numerous feet injuries, minor sun burns and a low rating of 5 or below for nearly everyone. The guys tried dunking ws. Not really dunking lor, if u all do it like 5 m off the shore. Should have done it on the platform lor! More fun that way. Ha ha. Pushing others off the platform... nvm. Betrayal rox. Btw, the guys met up first before the girls did. Sigh... Girls met up later cos they felt the time's too early, while the guys actually thought that the girls din wanna play the luge. A class outing's a class outing. We should go for lunch together, go for luge together, go for everything together. Next time, think it'd be better if we meet up at a time which everyone's happy with lor. :p

Police trip... Qq ah. Ha ha. Wallet missing since the first bball session. Went looking for it after the second bball session. Sigh.. The guys, me inc, would have done better to help me search lt4 n the toilet beside it, instead of playing cards.. Nvm. So, after that, everyone of us, inc the girls, went to look everywhere (GO, bball courts.. ), but still couldn't find it. Decided to make a police report later. Me n vernon left earlier though. Found out earlier that qq made a missing report after all, which may be better than a stolen report, since the wallet may not be stolen in the first place. He's badly shaken after being interrogated severely by the officers toug. Have to say, his story isn't that believable, but just glad everything's over liao. I hope.

Dsta outing today. Quite interesting. Was impressed by the staff lor. First, they opened up the reception specially for us when jy asked where the cafeteria's (we arrived half an hour earlier). :p And their staff's very friendly. Anw, we left earlier, and went holland v to slack around. Ha ha. More niaoing went on there.

Really really time to start on my ps now. JIayou!